-- Material --
____________
This record from Alexandria via LeMat-Bulk describes crystalline SrAs2Os2 at its relaxed geometry. The functional is PBE.

```
SrAs2Os2
1.0
7.739 0.000 0.000
0.000 7.739 0.000
0.000 0.000 3.039
Sr As Os
2 4 4
direct
0.000 0.000 0.000
0.500 0.500 0.000
0.141 0.359 0.000
0.359 0.859 0.000
0.641 0.141 0.000
0.859 0.641 0.000
0.132 0.632 0.500
0.368 0.132 0.500
0.632 0.868 0.500
0.868 0.368 0.500
```

Computed properties:
energy of formation from the pure elements = 0.294 eV per atom
M_tot = 0.0 μB/cell
space group = P4/mbm, No. 127

~~~~~

Entry 1:
A plane-wave DFT calculation with GGA-PBE was carried out for a geometry-optimized PbO structure.

The calculation puts the formation energy from raw total energies at -177 kJ/mol of formula units. The spin magnetization is 0.00 μB per atom.

a = 4.005 Å, b = 4.005 Å, c = 4.005 Å
α = 60.00°, β = 60.00°, γ = 60.00°
Positions (direct):
1 Pb 0.000 0.000 0.000
2 O 0.250 0.250 0.250

***

Entry 2:
A plane-wave DFT calculation with GGA-PBE was carried out for a geometry-optimized Pb3O4 structure.

The distance to the lowest polymorph of the same formula comes out at 0.035 eV/atom. The calculation puts the formation energy from raw total energies at -685 kJ/mol of formula units. The spin magnetization is 0.00 μB per atom.

a = 7.033 Å, b = 10.143 Å, c = 3.506 Å
α = 90.00°, β = 90.00°, γ = 90.00°
Positions (direct):
1 Pb 0.000 0.000 0.000
2 Pb 0.007 0.307 0.500
3 Pb 0.493 0.807 0.500
4 Pb 0.500 0.500 0.000
5 Pb 0.507 0.193 0.500
6 Pb 0.993 0.693 0.500
7 O 0.152 0.189 0.000
8 O 0.156 0.908 0.500
9 O 0.344 0.408 0.500
10 O 0.348 0.689 0.000
11 O 0.652 0.311 0.000
12 O 0.656 0.592 0.500
13 O 0.844 0.092 0.500
14 O 0.848 0.811 0.000

***

Entry 3:
A plane-wave DFT calculation with GGA-PBE was carried out for a geometry-optimized PbO structure.

The calculation puts the formation energy from raw total energies at -196 kJ/mol of formula units. The spin magnetization is 0.00 μB per atom.

a = 6.651 Å, b = 6.217 Å, c = 5.739 Å
α = 67.47°, β = 59.69°, γ = 52.84°
Positions (direct):
1 Pb 0.111 0.639 0.639
2 Pb 0.361 0.889 0.889
3 Pb 0.639 0.111 0.111
4 Pb 0.889 0.361 0.361
5 O 0.045 0.705 0.045
6 O 0.295 0.955 0.295
7 O 0.705 0.045 0.705
8 O 0.955 0.295 0.955

~~~~~

Record 1
8
Lattice="5.153 0.000 0.000 0.000 5.153 0.000 2.577 2.577 3.944" Properties=species:S:1:pos:R:3 comment="PBE Zn2BN, optimized geometry" space_group=I-42d raw_formation_energy_ev_per_atom=0.876 dos_at_fermi_per_ev_atom=0.13 pbc="T T T"
Zn 4.066 1.288 0.986
Zn 1.088 3.865 0.986
Zn 3.865 3.664 2.958
Zn 6.442 6.642 2.958
B 2.577 2.577 0.000
B 2.577 5.153 1.972
N 0.000 0.000 0.000
N 5.153 2.577 1.972

***

Record 2
8
Lattice="4.497 0.000 0.000 0.000 4.497 0.000 2.248 2.248 3.606" Properties=species:S:1:pos:R:3 comment="PBE ZnB2N, optimized geometry" space_group=I-42d raw_formation_energy_ev_per_atom=0.414 dos_at_fermi_per_ev_atom=0.72 de_polymorph_mev_per_atom=0 pbc="T T T"
Zn 0.000 0.000 0.000
Zn 4.497 2.248 1.803
B 2.924 1.124 0.902
B 1.573 3.373 0.902
B 3.373 3.821 2.705
B 5.621 5.172 2.705
N 2.248 2.248 0.000
N 2.248 4.497 1.803

***

Record 3
14
Lattice="4.677 0.000 0.000 0.000 4.677 0.000 0.000 0.000 4.677" Properties=species:S:1:pos:R:3 comment="PBE ZnB3N3, optimized geometry" space_group=Pm-3n raw_formation_energy_ev_per_atom=-0.014 dos_at_fermi_per_ev_atom=0.09 pbc="T T T"
Zn 2.339 2.339 2.339
Zn 0.000 0.000 0.000
B 1.169 0.000 2.339
B 0.000 2.339 1.169
B 2.339 3.508 0.000
B 3.508 0.000 2.339
B 0.000 2.339 3.508
B 2.339 1.169 0.000
N 0.000 1.169 2.339
N 0.000 3.508 2.339
N 2.339 0.000 3.508
N 3.508 2.339 0.000
N 2.339 0.000 1.169
N 1.169 2.339 0.000

***

Record 4
4
Lattice="0.163 -3.790 0.035 -3.201 -2.035 0.059 -1.050 -1.972 -3.066" Properties=species:S:1:pos:R:3 comment="PBE ZnB2N, optimized geometry" space_group=Fm-3m raw_formation_energy_ev_per_atom=2.294 dos_at_fermi_per_ev_atom=0.65 de_polymorph_mev_per_atom=1879 pbc="T T T"
Zn -2.044 -3.898 -1.486
B -1.022 -1.949 -0.743
B -3.066 -5.848 -2.229
N 0.000 0.000 0.000

***
____________

-- Wanted --
Start at the top of the calculation results earlier on and duplicate each line, ending with the one that has "_atom=1879 pbc=".

-- Here it is --
This record from Alexandria via LeMat-Bulk describes crystalline SrAs2Os2 at its relaxed geometry. The functional is PBE.

```
SrAs2Os2
1.0
7.739 0.000 0.000
0.000 7.739 0.000
0.000 0.000 3.039
Sr As Os
2 4 4
direct
0.000 0.000 0.000
0.500 0.500 0.000
0.141 0.359 0.000
0.359 0.859 0.000
0.641 0.141 0.000
0.859 0.641 0.000
0.132 0.632 0.500
0.368 0.132 0.500
0.632 0.868 0.500
0.868 0.368 0.500
```

Computed properties:
energy of formation from the pure elements = 0.294 eV per atom
M_tot = 0.0 μB/cell
space group = P4/mbm, No. 127

~~~~~

Entry 1:
A plane-wave DFT calculation with GGA-PBE was carried out for a geometry-optimized PbO structure.

The calculation puts the formation energy from raw total energies at -177 kJ/mol of formula units. The spin magnetization is 0.00 μB per atom.

a = 4.005 Å, b = 4.005 Å, c = 4.005 Å
α = 60.00°, β = 60.00°, γ = 60.00°
Positions (direct):
1 Pb 0.000 0.000 0.000
2 O 0.250 0.250 0.250

***

Entry 2:
A plane-wave DFT calculation with GGA-PBE was carried out for a geometry-optimized Pb3O4 structure.

The distance to the lowest polymorph of the same formula comes out at 0.035 eV/atom. The calculation puts the formation energy from raw total energies at -685 kJ/mol of formula units. The spin magnetization is 0.00 μB per atom.

a = 7.033 Å, b = 10.143 Å, c = 3.506 Å
α = 90.00°, β = 90.00°, γ = 90.00°
Positions (direct):
1 Pb 0.000 0.000 0.000
2 Pb 0.007 0.307 0.500
3 Pb 0.493 0.807 0.500
4 Pb 0.500 0.500 0.000
5 Pb 0.507 0.193 0.500
6 Pb 0.993 0.693 0.500
7 O 0.152 0.189 0.000
8 O 0.156 0.908 0.500
9 O 0.344 0.408 0.500
10 O 0.348 0.689 0.000
11 O 0.652 0.311 0.000
12 O 0.656 0.592 0.500
13 O 0.844 0.092 0.500
14 O 0.848 0.811 0.000

***

Entry 3:
A plane-wave DFT calculation with GGA-PBE was carried out for a geometry-optimized PbO structure.

The calculation puts the formation energy from raw total energies at -196 kJ/mol of formula units. The spin magnetization is 0.00 μB per atom.

a = 6.651 Å, b = 6.217 Å, c = 5.739 Å
α = 67.47°, β = 59.69°, γ = 52.84°
Positions (direct):
1 Pb 0.111 0.639 0.639
2 Pb 0.361 0.889 0.889
3 Pb 0.639 0.111 0.111
4 Pb 0.889 0.361 0.361
5 O 0.045 0.705 0.045
6 O 0.295 0.955 0.295
7 O 0.705 0.045 0.705
8 O 0.955 0.295 0.955

~~~~~

Record 1
8
Lattice="5.153 0.000 0.000 0.000 5.153 0.000 2.577 2.577 3.944" Properties=species:S:1:pos:R:3 comment="PBE Zn2BN, optimized geometry" space_group=I-42d raw_formation_energy_ev_per_atom=0.876 dos_at_fermi_per_ev_atom=0.13 pbc="T T T"
Zn 4.066 1.288 0.986
Zn 1.088 3.865 0.986
Zn 3.865 3.664 2.958
Zn 6.442 6.642 2.958
B 2.577 2.577 0.000
B 2.577 5.153 1.972
N 0.000 0.000 0.000
N 5.153 2.577 1.972

***

Record 2
8
Lattice="4.497 0.000 0.000 0.000 4.497 0.000 2.248 2.248 3.606" Properties=species:S:1:pos:R:3 comment="PBE ZnB2N, optimized geometry" space_group=I-42d raw_formation_energy_ev_per_atom=0.414 dos_at_fermi_per_ev_atom=0.72 de_polymorph_mev_per_atom=0 pbc="T T T"
Zn 0.000 0.000 0.000
Zn 4.497 2.248 1.803
B 2.924 1.124 0.902
B 1.573 3.373 0.902
B 3.373 3.821 2.705
B 5.621 5.172 2.705
N 2.248 2.248 0.000
N 2.248 4.497 1.803

***

Record 3
14
Lattice="4.677 0.000 0.000 0.000 4.677 0.000 0.000 0.000 4.677" Properties=species:S:1:pos:R:3 comment="PBE ZnB3N3, optimized geometry" space_group=Pm-3n raw_formation_energy_ev_per_atom=-0.014 dos_at_fermi_per_ev_atom=0.09 pbc="T T T"
Zn 2.339 2.339 2.339
Zn 0.000 0.000 0.000
B 1.169 0.000 2.339
B 0.000 2.339 1.169
B 2.339 3.508 0.000
B 3.508 0.000 2.339
B 0.000 2.339 3.508
B 2.339 1.169 0.000
N 0.000 1.169 2.339
N 0.000 3.508 2.339
N 2.339 0.000 3.508
N 3.508 2.339 0.000
N 2.339 0.000 1.169
N 1.169 2.339 0.000

***

Record 4
4
Lattice="0.163 -3.790 0.035 -3.201 -2.035 0.059 -1.050 -1.972 -3.066" Properties=species:S:1:pos:R:3 comment="PBE ZnB2N, optimized geometry" space_group=Fm-3m raw_formation_energy_ev_per_atom=2.294 dos_at_fermi_per_ev_atom=0.65 de_polymorph_mev_per_atom=1879 pbc="T T T"